Reproduce the whole of the block underneath exactly.
- - -
{
  "formula": "YCrMo",
  "functional": "PBE",
  "state": "optimized geometry",
  "formation_energy_ev_per_fu": 0.98,
  "de_polymorph_ev_per_atom": 0.000,
  "magnetic_moment_mub_per_fu": 0.3,
  "lattice_angstrom": [[5.862, 0.003, 0.000], [4.116, 4.174, 0.000], [-4.989, -2.088, 2.261]],
  "species": ["Cr", "Y", "Mo"],
  "fractional_positions": [[0.971, 0.971, 0.000], [0.665, 0.665, 0.000], [0.364, 0.364, 0.000]]
}

* * * * *

1.
{"formula": "RbNb2CrPb", "functional": "PBE-GGA", "state": "optimized geometry", "cell": [[-0.3176, -1.4321, 4.7753], [-3.7447, -2.6879, -1.0551], [3.0339, -3.8525, -0.9535]], "species": ["Pb", "Cr", "Nb", "Nb", "Rb"], "fractional_positions": [[0.5000, 0.5000, 0.5000], [0.0000, 0.5000, 0.0000], [0.0000, 0.0000, 0.5000], [0.5000, 0.0000, 0.0000], [0.0000, 0.0000, 0.0000]], "density_g_cm3": 7.5, "formation_energy_ev_per_atom": 2.54}

---

2.
{"formula": "CeNd7Al4", "functional": "PBE-GGA", "state": "optimized geometry", "cell": [[5.6094, 0.0000, 0.0000], [2.8047, 8.9225, 0.3434], [2.8047, 0.6201, 7.0891]], "species": ["Ce", "Nd", "Nd", "Nd", "Nd", "Nd", "Nd", "Nd", "Al", "Al", "Al", "Al"], "fractional_positions": [[0.0000, 0.0000, 0.0000], [0.7944, 0.8812, 0.5301], [0.2056, 0.1188, 0.4699], [0.0661, 0.6089, 0.2589], [0.9339, 0.3911, 0.7411], [0.2916, 0.6518, 0.7650], [0.5000, 0.0000, 0.0000], [0.7084, 0.3482, 0.2350], [0.5517, 0.2423, 0.6543], [0.4483, 0.7577, 0.3457], [0.6736, 0.6682, 0.9847], [0.3264, 0.3318, 0.0153]], "density_g_cm3": 5.9, "formation_energy_ev_per_atom": -0.06}

---

3.
{"formula": "Mn22FeC6", "functional": "PBE-GGA", "state": "optimized geometry", "cell": [[-1.6464, -7.1499, 0.4692], [4.4327, -5.0017, -3.0637], [4.0388, -4.4306, 4.2555]], "species": ["Mn", "Mn", "Mn", "Mn", "Mn", "Mn", "Mn", "Mn", "Mn", "Mn", "Mn", "Mn", "Mn", "Mn", "Mn", "Mn", "Mn", "Mn", "Mn", "Mn", "Mn", "Mn", "Fe", "C", "C", "C", "C", "C", "C"], "fractional_positions": [[0.7500, 0.7500, 0.7500], [0.2500, 0.2500, 0.2500], [0.6178, 0.6178, 0.1467], [0.6178, 0.6178, 0.6178], [0.6178, 0.1467, 0.6178], [0.1467, 0.6178, 0.6178], [0.3822, 0.3822, 0.8533], [0.3822, 0.3822, 0.3822], [0.3822, 0.8533, 0.3822], [0.8533, 0.3822, 0.3822], [0.6636, 0.0000, 0.3364], [0.0000, 0.6636, 0.3364], [0.0000, 0.0000, 0.3364], [0.0000, 0.6636, 0.0000], [0.6636, 0.0000, 0.0000], [0.0000, 0.0000, 0.6636], [0.0000, 0.3364, 0.0000], [0.0000, 0.3364, 0.6636], [0.6636, 0.3364, 0.0000], [0.3364, 0.0000, 0.6636], [0.3364, 0.0000, 0.0000], [0.3364, 0.6636, 0.0000], [0.0000, 0.0000, 0.0000], [0.2757, 0.7243, 0.2757], [0.7243, 0.2757, 0.2757], [0.7243, 0.7243, 0.2757], [0.7243, 0.2757, 0.7243], [0.2757, 0.7243, 0.7243], [0.2757, 0.2757, 0.7243]], "density_g_cm3": 7.9, "formation_energy_ev_per_atom": -0.08}

---

4.
{"formula": "BaMoPb2", "functional": "PBE-GGA", "state": "optimized geometry", "cell": [[-0.4831, -2.8336, -2.2535], [-1.9530, -1.9615, 2.8851], [-7.1555, 3.2916, -2.6050]], "species": ["Ba", "Mo", "Pb", "Pb"], "fractional_positions": [[0.0000, 0.6250, 0.4837], [0.5000, 0.6250, 0.9689], [0.0000, 0.1250, 0.8395], [0.5000, 0.1250, 0.2079]], "density_g_cm3": 8.9, "formation_energy_ev_per_atom": 0.40, "de_polymorph_mev_per_atom": 159.5}

---

- Which formula does entry 2 have?
  CeNd7Al4

---

- What is the formula in the first record?
  RbNb2CrPb

* * * * *

(1)
## BaSrCa2Cd4 (PBE-GGA)

Data for an optimized crystal structure of BaSrCa2Cd4.

Summary:
The value obtained for the formation energy is -320 meV/atom.

a b c (Å): 5.6644 5.6644 27.8707
angles (deg): 90.00 90.00 120.00
Last column: nearest neighbours and their distance in Å.
Space group R-3m (No. 166, hexagonal axes)
One atom of each set of equivalent atoms:
Ba: 0.0000 0.0000 0.0000 x3  8 Cd 3.50-3.54
Sr: 0.0000 0.0000 0.5000 x3  8 Cd 3.40-3.45
Ca: 0.0000 0.0000 0.2486 x6  8 Cd 3.39-3.60
Cd: 0.0000 0.0000 0.1271 x6  4 Ca 3.39-3.48, 3 Sr 3.45, 1 Ba 3.54
Cd: 0.0000 0.0000 0.3780 x6  1 Sr 3.40, 4 Ca 3.46-3.60, 3 Ba 3.50

(2)
## In12Sb3Pb5 (PBE-GGA)
- - -
{
  "formula": "YCrMo",
  "functional": "PBE",
  "state": "optimized geometry",
  "formation_energy_ev_per_fu": 0.98,
  "de_polymorph_ev_per_atom": 0.000,
  "magnetic_moment_mub_per_fu": 0.3,
  "lattice_angstrom": [[5.862, 0.003, 0.000], [4.116, 4.174, 0.000], [-4.989, -2.088, 2.261]],
  "species": ["Cr", "Y", "Mo"],
  "fractional_positions": [[0.971, 0.971, 0.000], [0.665, 0.665, 0.000], [0.364, 0.364, 0.000]]
}

* * * * *

1.
{"formula": "RbNb2CrPb", "functional": "PBE-GGA", "state": "optimized geometry", "cell": [[-0.3176, -1.4321, 4.7753], [-3.7447, -2.6879, -1.0551], [3.0339, -3.8525, -0.9535]], "species": ["Pb", "Cr", "Nb", "Nb", "Rb"], "fractional_positions": [[0.5000, 0.5000, 0.5000], [0.0000, 0.5000, 0.0000], [0.0000, 0.0000, 0.5000], [0.5000, 0.0000, 0.0000], [0.0000, 0.0000, 0.0000]], "density_g_cm3": 7.5, "formation_energy_ev_per_atom": 2.54}

---

2.
{"formula": "CeNd7Al4", "functional": "PBE-GGA", "state": "optimized geometry", "cell": [[5.6094, 0.0000, 0.0000], [2.8047, 8.9225, 0.3434], [2.8047, 0.6201, 7.0891]], "species": ["Ce", "Nd", "Nd", "Nd", "Nd", "Nd", "Nd", "Nd", "Al", "Al", "Al", "Al"], "fractional_positions": [[0.0000, 0.0000, 0.0000], [0.7944, 0.8812, 0.5301], [0.2056, 0.1188, 0.4699], [0.0661, 0.6089, 0.2589], [0.9339, 0.3911, 0.7411], [0.2916, 0.6518, 0.7650], [0.5000, 0.0000, 0.0000], [0.7084, 0.3482, 0.2350], [0.5517, 0.2423, 0.6543], [0.4483, 0.7577, 0.3457], [0.6736, 0.6682, 0.9847], [0.3264, 0.3318, 0.0153]], "density_g_cm3": 5.9, "formation_energy_ev_per_atom": -0.06}

---

3.
{"formula": "Mn22FeC6", "functional": "PBE-GGA", "state": "optimized geometry", "cell": [[-1.6464, -7.1499, 0.4692], [4.4327, -5.0017, -3.0637], [4.0388, -4.4306, 4.2555]], "species": ["Mn", "Mn", "Mn", "Mn", "Mn", "Mn", "Mn", "Mn", "Mn", "Mn", "Mn", "Mn", "Mn", "Mn", "Mn", "Mn", "Mn", "Mn", "Mn", "Mn", "Mn", "Mn", "Fe", "C", "C", "C", "C", "C", "C"], "fractional_positions": [[0.7500, 0.7500, 0.7500], [0.2500, 0.2500, 0.2500], [0.6178, 0.6178, 0.1467], [0.6178, 0.6178, 0.6178], [0.6178, 0.1467, 0.6178], [0.1467, 0.6178, 0.6178], [0.3822, 0.3822, 0.8533], [0.3822, 0.3822, 0.3822], [0.3822, 0.8533, 0.3822], [0.8533, 0.3822, 0.3822], [0.6636, 0.0000, 0.3364], [0.0000, 0.6636, 0.3364], [0.0000, 0.0000, 0.3364], [0.0000, 0.6636, 0.0000], [0.6636, 0.0000, 0.0000], [0.0000, 0.0000, 0.6636], [0.0000, 0.3364, 0.0000], [0.0000, 0.3364, 0.6636], [0.6636, 0.3364, 0.0000], [0.3364, 0.0000, 0.6636], [0.3364, 0.0000, 0.0000], [0.3364, 0.6636, 0.0000], [0.0000, 0.0000, 0.0000], [0.2757, 0.7243, 0.2757], [0.7243, 0.2757, 0.2757], [0.7243, 0.7243, 0.2757], [0.7243, 0.2757, 0.7243], [0.2757, 0.7243, 0.7243], [0.2757, 0.2757, 0.7243]], "density_g_cm3": 7.9, "formation_energy_ev_per_atom": -0.08}

---

4.
{"formula": "BaMoPb2", "functional": "PBE-GGA", "state": "optimized geometry", "cell": [[-0.4831, -2.8336, -2.2535], [-1.9530, -1.9615, 2.8851], [-7.1555, 3.2916, -2.6050]], "species": ["Ba", "Mo", "Pb", "Pb"], "fractional_positions": [[0.0000, 0.6250, 0.4837], [0.5000, 0.6250, 0.9689], [0.0000, 0.1250, 0.8395], [0.5000, 0.1250, 0.2079]], "density_g_cm3": 8.9, "formation_energy_ev_per_atom": 0.40, "de_polymorph_mev_per_atom": 159.5}

---

- Which formula does entry 2 have?
  CeNd7Al4

---

- What is the formula in the first record?
  RbNb2CrPb

* * * * *

(1)
## BaSrCa2Cd4 (PBE-GGA)

Data for an optimized crystal structure of BaSrCa2Cd4.

Summary:
The value obtained for the formation energy is -320 meV/atom.

a b c (Å): 5.6644 5.6644 27.8707
angles (deg): 90.00 90.00 120.00
Last column: nearest neighbours and their distance in Å.
Space group R-3m (No. 166, hexagonal axes)
One atom of each set of equivalent atoms:
Ba: 0.0000 0.0000 0.0000 x3  8 Cd 3.50-3.54
Sr: 0.0000 0.0000 0.5000 x3  8 Cd 3.40-3.45
Ca: 0.0000 0.0000 0.2486 x6  8 Cd 3.39-3.60
Cd: 0.0000 0.0000 0.1271 x6  4 Ca 3.39-3.48, 3 Sr 3.45, 1 Ba 3.54
Cd: 0.0000 0.0000 0.3780 x6  1 Sr 3.40, 4 Ca 3.46-3.60, 3 Ba 3.50

(2)
## In12Sb3Pb5 (PBE-GGA)